-- begin --
{"formula": "C31H26BaClN6O7S2Se2", "method": "ωB97M-V/def2-TZVPD", "species": ["C", "C", "H", "H", "H", "H", "C", "N", "Se", "C", "H", "O", "C", "O", "C", "C", "C", "H", "H", "H", "C", "O", "C", "H", "C", "H", "H", "C", "C", "C", "C", "C", "C", "H", "N", "H", "N", "H", "C", "N", "H", "H", "C", "H", "C", "H", "O", "C", "C", "H", "S", "C", "H", "C", "O", "C", "C", "N", "Cl", "H", "Se", "H", "H", "H", "N", "O", "C", "S", "C", "H", "Ba", "H", "C", "C", "O", "C"], "positions_angstrom": [[-3.2184, 2.4404, 2.5891], [-1.8419, 0.3315, -1.2187], [1.9768, 3.3568, -0.8365], [1.1614, 4.1694, 4.3304], [4.4092, 5.3940, 3.8022], [1.2158, -5.4078, -2.4564], [-3.9581, 0.1103, -2.2831], [0.2201, 2.4587, -1.4192], [-0.7228, -5.0178, -0.2347], [-2.7438, -3.3536, 1.6364], [-1.7611, 3.4113, -3.9522], [1.3036, 0.2238, -2.9382], [3.0368, 3.8265, 3.3851], [1.3318, -0.4863, 2.1873], [1.1607, 4.3498, -2.5482], [-3.6385, -3.6038, 2.6733], [-2.6668, 3.2781, 3.5469], [1.7197, -4.1371, -4.5365], [-4.2900, 2.2847, 2.5310], [-4.4117, 4.4018, 4.0097], [3.8539, 4.6301, 4.3571], [2.7675, -1.5806, -2.4469], [0.0857, 4.3537, -3.4261], [-4.9375, -0.2594, -2.5533], [0.6843, -4.4969, -2.6980], [-0.9125, -0.9614, 2.8236], [4.5865, 3.9690, 4.8326], [0.2449, -2.6331, -4.1315], [-0.9085, 3.4108, -3.2856], [0.9722, 2.9539, 2.5491], [-3.0892, -0.3886, -1.3587], [-0.8181, 2.4443, -2.2768], [-0.5267, 2.7949, 2.5967], [-4.3789, -4.3860, 2.5754], [-1.0555, 1.9847, 1.6817], [-3.3244, -1.2764, -0.7836], [1.3253, -2.4531, 0.5266], [-2.7673, 1.1767, 0.8969], [1.1737, 3.3833, -1.5623], [-0.9759, -2.8972, -2.1041], [0.4443, -2.0497, -5.0197], [3.5541, 5.7829, 5.8996], [-1.8586, 1.3916, -2.0906], [-0.8529, 4.1305, 4.2671], [1.6659, 3.6987, 3.5015], [-3.9594, 3.2129, 5.2352], [3.0115, 5.2276, 5.3326], [3.6761, 3.1731, 2.3394], [0.9568, -3.7857, -3.8527], [-3.4438, 5.4127, 5.8407], [1.5559, -1.9686, 1.8965], [-1.2956, 3.4609, 3.5467], [0.0241, 5.0925, -4.2167], [-2.3809, 1.8206, 1.6794], [2.9648, 0.4640, -1.2372], [-3.5619, 3.9629, 4.5417], [-2.5550, -1.8625, 3.8939], [-1.7980, -2.4253, 1.6938], [2.6855, -0.1461, -2.5795], [4.7501, 3.2385, 2.2084], [-2.9326, -4.4038, 0.0369], [3.3807, 1.8673, 0.6590], [-2.4337, -1.2466, 4.7752], [-4.2065, -3.0110, 4.6564], [1.5859, 2.3360, 1.5481], [-2.8353, 4.9588, 5.2500], [-0.7199, -2.2238, -3.2271], [-3.3270, 1.4940, -3.0629], [-1.7065, -1.7009, 2.8087], [1.9596, 5.0752, -2.6181], [0.6965, 0.0415, -0.2506], [-1.3097, -1.3279, -3.3864], [-0.2903, -3.9895, -1.8485], [2.9153, 2.4272, 1.4641], [3.6244, 0.3678, -3.5338], [-3.5395, -2.8349, 3.8208]], "forces_ev_per_angstrom": [[-0.1, 0.0, 0.0], [-0.6, 0.2, -0.3], [0.0, -0.1, 0.0], [0.0, 0.0, 0.0], [0.0, 0.0, 0.0], [0.0, 0.0, 0.0], [0.0, 0.0, 0.0], [-0.1, 0.6, -0.4], [-0.1, 0.2, -0.5], [0.1, 0.3, 0.1], [0.0, 0.0, 0.0], [1.3, -0.2, 0.0], [0.0, 0.0, 0.0], [0.2, -0.8, 0.6], [0.0, 0.0, 0.0], [0.0, 0.1, 0.0], [0.0, 0.1, 0.0], [0.0, 0.0, 0.0], [0.0, 0.0, 0.0], [0.0, 0.0, 0.0], [-0.1, 0.0, 0.1], [0.1, 0.7, -0.1], [0.0, 0.1, 0.0], [0.0, 0.0, 0.0], [0.1, 0.0, 0.1], [0.0, 0.0, 0.1], [0.0, 0.0, 0.0], [-0.1, 0.1, 0.0], [-0.1, 0.0, -0.1], [-0.4, -0.1, -0.1], [0.2, 0.2, -0.1], [-0.3, -0.3, 0.3], [0.4, -0.1, -0.1], [0.0, 0.0, 0.0], [-0.2, -0.1, 0.1], [0.0, -0.1, 0.0], [0.4, -0.4, 0.7], [0.0, 0.0, 0.0], [-0.4, -0.1, 0.0], [-0.1, 0.1, 0.2], [0.0, 0.0, 0.0], [0.0, 0.0, 0.0], [0.4, 0.4, 0.0], [0.0, 0.0, 0.0], [0.0, 0.0, 0.1], [0.0, 0.0, 0.0], [0.1, 0.0, 0.0], [0.1, 0.0, 0.0], [0.1, -0.1, -0.1], [0.1, 0.0, 0.0], [0.2, -0.2, 0.1], [-0.1, 0.1, 0.0], [0.0, 0.0, 0.0], [0.3, 0.0, -0.1], [0.7, -0.3, -1.7], [0.1, 0.0, 0.1], [0.0, 0.0, 0.0], [-0.2, -0.1, 0.0], [0.1, 0.2, 0.1], [0.0, 0.0, 0.0], [0.2, -0.2, 0.0], [0.0, 0.1, 0.0], [0.0, 0.0, 0.0], [0.0, 0.0, 0.0], [0.4, 0.0, -0.1], [-0.1, 0.0, 0.0], [0.0, -0.2, 0.1], [-0.1, 0.1, -0.1], [0.0, 0.0, -0.1], [0.0, 0.0, 0.0], [-1.7, 0.4, 0.8], [0.0, 0.0, 0.0], [-0.2, -0.1, 0.1], [-0.3, 0.0, 0.0], [-0.3, -0.2, 0.2], [0.0, 0.0, 0.0]], "total_charge": -1, "orbital_gap_ev": 6.354, "lumo_ev": 1.92, "homo_ev": -4.4, "relative_energy_kj_mol": 131.5}
-- stop --

It remains to print only the lines above with the word "total_charge" in them.

{"formula": "C31H26BaClN6O7S2Se2", "method": "ωB97M-V/def2-TZVPD", "species": ["C", "C", "H", "H", "H", "H", "C", "N", "Se", "C", "H", "O", "C", "O", "C", "C", "C", "H", "H", "H", "C", "O", "C", "H", "C", "H", "H", "C", "C", "C", "C", "C", "C", "H", "N", "H", "N", "H", "C", "N", "H", "H", "C", "H", "C", "H", "O", "C", "C", "H", "S", "C", "H", "C", "O", "C", "C", "N", "Cl", "H", "Se", "H", "H", "H", "N", "O", "C", "S", "C", "H", "Ba", "H", "C", "C", "O", "C"], "positions_angstrom": [[-3.2184, 2.4404, 2.5891], [-1.8419, 0.3315, -1.2187], [1.9768, 3.3568, -0.8365], [1.1614, 4.1694, 4.3304], [4.4092, 5.3940, 3.8022], [1.2158, -5.4078, -2.4564], [-3.9581, 0.1103, -2.2831], [0.2201, 2.4587, -1.4192], [-0.7228, -5.0178, -0.2347], [-2.7438, -3.3536, 1.6364], [-1.7611, 3.4113, -3.9522], [1.3036, 0.2238, -2.9382], [3.0368, 3.8265, 3.3851], [1.3318, -0.4863, 2.1873], [1.1607, 4.3498, -2.5482], [-3.6385, -3.6038, 2.6733], [-2.6668, 3.2781, 3.5469], [1.7197, -4.1371, -4.5365], [-4.2900, 2.2847, 2.5310], [-4.4117, 4.4018, 4.0097], [3.8539, 4.6301, 4.3571], [2.7675, -1.5806, -2.4469], [0.0857, 4.3537, -3.4261], [-4.9375, -0.2594, -2.5533], [0.6843, -4.4969, -2.6980], [-0.9125, -0.9614, 2.8236], [4.5865, 3.9690, 4.8326], [0.2449, -2.6331, -4.1315], [-0.9085, 3.4108, -3.2856], [0.9722, 2.9539, 2.5491], [-3.0892, -0.3886, -1.3587], [-0.8181, 2.4443, -2.2768], [-0.5267, 2.7949, 2.5967], [-4.3789, -4.3860, 2.5754], [-1.0555, 1.9847, 1.6817], [-3.3244, -1.2764, -0.7836], [1.3253, -2.4531, 0.5266], [-2.7673, 1.1767, 0.8969], [1.1737, 3.3833, -1.5623], [-0.9759, -2.8972, -2.1041], [0.4443, -2.0497, -5.0197], [3.5541, 5.7829, 5.8996], [-1.8586, 1.3916, -2.0906], [-0.8529, 4.1305, 4.2671], [1.6659, 3.6987, 3.5015], [-3.9594, 3.2129, 5.2352], [3.0115, 5.2276, 5.3326], [3.6761, 3.1731, 2.3394], [0.9568, -3.7857, -3.8527], [-3.4438, 5.4127, 5.8407], [1.5559, -1.9686, 1.8965], [-1.2956, 3.4609, 3.5467], [0.0241, 5.0925, -4.2167], [-2.3809, 1.8206, 1.6794], [2.9648, 0.4640, -1.2372], [-3.5619, 3.9629, 4.5417], [-2.5550, -1.8625, 3.8939], [-1.7980, -2.4253, 1.6938], [2.6855, -0.1461, -2.5795], [4.7501, 3.2385, 2.2084], [-2.9326, -4.4038, 0.0369], [3.3807, 1.8673, 0.6590], [-2.4337, -1.2466, 4.7752], [-4.2065, -3.0110, 4.6564], [1.5859, 2.3360, 1.5481], [-2.8353, 4.9588, 5.2500], [-0.7199, -2.2238, -3.2271], [-3.3270, 1.4940, -3.0629], [-1.7065, -1.7009, 2.8087], [1.9596, 5.0752, -2.6181], [0.6965, 0.0415, -0.2506], [-1.3097, -1.3279, -3.3864], [-0.2903, -3.9895, -1.8485], [2.9153, 2.4272, 1.4641], [3.6244, 0.3678, -3.5338], [-3.5395, -2.8349, 3.8208]], "forces_ev_per_angstrom": [[-0.1, 0.0, 0.0], [-0.6, 0.2, -0.3], [0.0, -0.1, 0.0], [0.0, 0.0, 0.0], [0.0, 0.0, 0.0], [0.0, 0.0, 0.0], [0.0, 0.0, 0.0], [-0.1, 0.6, -0.4], [-0.1, 0.2, -0.5], [0.1, 0.3, 0.1], [0.0, 0.0, 0.0], [1.3, -0.2, 0.0], [0.0, 0.0, 0.0], [0.2, -0.8, 0.6], [0.0, 0.0, 0.0], [0.0, 0.1, 0.0], [0.0, 0.1, 0.0], [0.0, 0.0, 0.0], [0.0, 0.0, 0.0], [0.0, 0.0, 0.0], [-0.1, 0.0, 0.1], [0.1, 0.7, -0.1], [0.0, 0.1, 0.0], [0.0, 0.0, 0.0], [0.1, 0.0, 0.1], [0.0, 0.0, 0.1], [0.0, 0.0, 0.0], [-0.1, 0.1, 0.0], [-0.1, 0.0, -0.1], [-0.4, -0.1, -0.1], [0.2, 0.2, -0.1], [-0.3, -0.3, 0.3], [0.4, -0.1, -0.1], [0.0, 0.0, 0.0], [-0.2, -0.1, 0.1], [0.0, -0.1, 0.0], [0.4, -0.4, 0.7], [0.0, 0.0, 0.0], [-0.4, -0.1, 0.0], [-0.1, 0.1, 0.2], [0.0, 0.0, 0.0], [0.0, 0.0, 0.0], [0.4, 0.4, 0.0], [0.0, 0.0, 0.0], [0.0, 0.0, 0.1], [0.0, 0.0, 0.0], [0.1, 0.0, 0.0], [0.1, 0.0, 0.0], [0.1, -0.1, -0.1], [0.1, 0.0, 0.0], [0.2, -0.2, 0.1], [-0.1, 0.1, 0.0], [0.0, 0.0, 0.0], [0.3, 0.0, -0.1], [0.7, -0.3, -1.7], [0.1, 0.0, 0.1], [0.0, 0.0, 0.0], [-0.2, -0.1, 0.0], [0.1, 0.2, 0.1], [0.0, 0.0, 0.0], [0.2, -0.2, 0.0], [0.0, 0.1, 0.0], [0.0, 0.0, 0.0], [0.0, 0.0, 0.0], [0.4, 0.0, -0.1], [-0.1, 0.0, 0.0], [0.0, -0.2, 0.1], [-0.1, 0.1, -0.1], [0.0, 0.0, -0.1], [0.0, 0.0, 0.0], [-1.7, 0.4, 0.8], [0.0, 0.0, 0.0], [-0.2, -0.1, 0.1], [-0.3, 0.0, 0.0], [-0.3, -0.2, 0.2], [0.0, 0.0, 0.0]], "total_charge": -1, "orbital_gap_ev": 6.354, "lumo_ev": 1.92, "homo_ev": -4.4, "relative_energy_kj_mol": 131.5}